Work order.
It remains to copy only the last part of the data further below, starting with the line that has "_cell_length_c 8.591".

Listing.
-- begin --
1.
KTa2Rh | PBE-GGA | relaxed

Properties
Energy relative to the lowest polymorph listed for this composition ... 0 meV per atom

Unit cell a=3.128 b=3.127 c=9.808 alpha=71.43 beta=90.00 gamma=90.00
Atoms (fractional coordinates):
K1 0.000 0.466 0.533
Ta1 0.000 0.029 0.972
Ta2 0.500 0.326 0.174
Rh1 0.500 0.679 0.821

***

2.
LaPuRhI | PBE-GGA | relaxed

Properties
Formation energy without anion corrections ... -0.761 eV/atom

Unit cell a=4.111 b=4.111 c=8.583 alpha=90.01 beta=103.86 gamma=119.97
Atoms (fractional coordinates):
Rh1 0.309 0.553 0.877
Pu1 0.094 0.945 0.054
La1 0.508 0.152 0.675
I1 0.967 0.382 0.363

~~~~~

(1)
Compound: Y12InRh6
Source: the Alexandria database
Functional: PBE-GGA
Structure: relaxed

Results
Symmetry ... Im-3 (204)
Uncorrected energy ... -135.7 eV per cell
Energy of formation ... -0.5954 eV per atom
Calculated volume ... 488.2 Å³/f.u.

Structure (CIF):
```
data_Y12InRh6
_symmetry_space_group_name_H-M 'P 1'
_symmetry_Int_Tables_number 1
_cell_length_a 8.591
_cell_length_b 8.591
_cell_length_c 8.591
_cell_angle_alpha 109.47
_cell_angle_beta 109.47
_cell_angle_gamma 109.47
loop_
_symmetry_equiv_pos_as_xyz
'x,y,z'
loop_
_atom_site_label
_atom_site_fract_x
_atom_site_fract_y
_atom_site_fract_z
Rh1 0.500 0.872 0.372
Rh2 0.628 0.500 0.128
Rh3 0.128 0.628 0.500
Rh4 0.500 0.128 0.628
Rh5 0.872 0.372 0.500
Rh6 0.372 0.500 0.872
Y1 0.891 0.191 0.701
Y2 0.701 0.510 0.809
Y3 0.701 0.891 0.191
Y4 0.191 0.701 0.891
Y5 0.191 0.299 0.490
Y6 0.299 0.490 0.191
Y7 0.490 0.191 0.299
Y8 0.809 0.299 0.109
Y9 0.299 0.109 0.809
Y10 0.109 0.809 0.299
Y11 0.510 0.809 0.701
Y12 0.809 0.701 0.510
In1 0.000 0.000 0.000
```

(2)
Compound: Y4InRh2
Source: the Alexandria database
Functional: PBE-GGA
Structure: relaxed

Results
Symmetry ... Cc (9)
Uncorrected energy ... -95.1 eV per cell
Energy of formation ... -0.6061 eV per atom
Calculated volume ... 175.7 Å³/f.u.

Structure (CIF):
```
data_Y4InRh2
_symmetry_space_group_name_H-M 'P 1'
_symmetry_Int_Tables_number 1
_cell_length_a 8.592
_cell_length_b 8.592
_cell_length_c 7.022
_cell_angle_alpha 107.96
_cell_angle_beta 107.96
_cell_angle_gamma 120.27
loop_
_symmetry_equiv_pos_as_xyz
'x,y,z'
loop_
_atom_site_label
_atom_site_fract_x
_atom_site_fract_y
_atom_site_fract_z
Rh1 0.490 0.411 0.625
Rh2 0.801 0.900 0.445
Rh3 0.661 0.240 0.125
Rh4 0.150 0.551 0.945
Y1 0.762 0.169 0.779
Y2 0.497 0.772 0.915
Y3 0.883 0.557 0.606
Y4 0.022 0.247 0.415
Y5 0.270 0.100 0.727
Y6 0.350 0.020 0.227
Y7 0.419 0.512 0.279
Y8 0.807 0.633 0.106
In1 0.201 0.687 0.403
In2 0.937 0.951 0.903
```

(3)
Compound: Y6In3Rh
Source: the Alexandria database
Functional: PBE-GGA
Structure: relaxed

Results
Symmetry ... P2_1/m (11)
Uncorrected energy ... -117.8 eV per cell
Energy of formation ... -0.4571 eV per atom
Calculated volume ... 265.8 Å³/f.u.
E above lowest polymorph ... 0 meV/atom

Structure (CIF):
```
data_Y6In3Rh
_symmetry_space_group_name_H-M 'P 1'
_symmetry_Int_Tables_number 1
_cell_length_a 5.302
_cell_length_b 9.232
_cell_length_c 11.411
_cell_angle_alpha 107.86
_cell_angle_beta 90.00
_cell_angle_gamma 90.00
loop_
_symmetry_equiv_pos_as_xyz
'x,y,z'
loop_
_atom_site_label
_atom_site_fract_x
_atom_site_fract_y
_atom_site_fract_z
Y1 0.750 0.778 0.502
Y2 0.750 0.898 0.145
Y3 0.250 0.102 0.855
Y4 0.250 0.458 0.084
Y5 0.250 0.130 0.159
Y6 0.750 0.870 0.841
Y7 0.250 0.222 0.498
Y8 0.750 0.542 0.916
Y9 0.750 0.151 0.674
Y10 0.250 0.849 0.326
Y11 0.250 0.685 0.666
Y12 0.750 0.315 0.334
In1 0.250 0.513 0.379
In2 0.750 0.487 0.621
In3 0.750 0.598 0.217
In4 0.250 0.402 0.783
In5 0.750 0.222 0.024
In6 0.250 0.778 0.976
Rh1 0.750 0.042 0.407
Rh2 0.250 0.958 0.593
```

> The highest calculated volume belongs to which entry?

Y12InRh6

> Among the records above, which one has the lowest energy of formation?

Y4InRh2

> The highest energy of formation belongs to which entry?

Y6In3Rh
-- stop --

Written answer.
_cell_length_c 8.591
_cell_angle_alpha 109.47
_cell_angle_beta 109.47
_cell_angle_gamma 109.47
loop_
_symmetry_equiv_pos_as_xyz
'x,y,z'
loop_
_atom_site_label
_atom_site_fract_x
_atom_site_fract_y
_atom_site_fract_z
Rh1 0.500 0.872 0.372
Rh2 0.628 0.500 0.128
Rh3 0.128 0.628 0.500
Rh4 0.500 0.128 0.628
Rh5 0.872 0.372 0.500
Rh6 0.372 0.500 0.872
Y1 0.891 0.191 0.701
Y2 0.701 0.510 0.809
Y3 0.701 0.891 0.191
Y4 0.191 0.701 0.891
Y5 0.191 0.299 0.490
Y6 0.299 0.490 0.191
Y7 0.490 0.191 0.299
Y8 0.809 0.299 0.109
Y9 0.299 0.109 0.809
Y10 0.109 0.809 0.299
Y11 0.510 0.809 0.701
Y12 0.809 0.701 0.510
In1 0.000 0.000 0.000
```

(2)
Compound: Y4InRh2
Source: the Alexandria database
Functional: PBE-GGA
Structure: relaxed

Results
Symmetry ... Cc (9)
Uncorrected energy ... -95.1 eV per cell
Energy of formation ... -0.6061 eV per atom
Calculated volume ... 175.7 Å³/f.u.

Structure (CIF):
```
data_Y4InRh2
_symmetry_space_group_name_H-M 'P 1'
_symmetry_Int_Tables_number 1
_cell_length_a 8.592
_cell_length_b 8.592
_cell_length_c 7.022
_cell_angle_alpha 107.96
_cell_angle_beta 107.96
_cell_angle_gamma 120.27
loop_
_symmetry_equiv_pos_as_xyz
'x,y,z'
loop_
_atom_site_label
_atom_site_fract_x
_atom_site_fract_y
_atom_site_fract_z
Rh1 0.490 0.411 0.625
Rh2 0.801 0.900 0.445
Rh3 0.661 0.240 0.125
Rh4 0.150 0.551 0.945
Y1 0.762 0.169 0.779
Y2 0.497 0.772 0.915
Y3 0.883 0.557 0.606
Y4 0.022 0.247 0.415
Y5 0.270 0.100 0.727
Y6 0.350 0.020 0.227
Y7 0.419 0.512 0.279
Y8 0.807 0.633 0.106
In1 0.201 0.687 0.403
In2 0.937 0.951 0.903
```

(3)
Compound: Y6In3Rh
Source: the Alexandria database
Functional: PBE-GGA
Structure: relaxed

Results
Symmetry ... P2_1/m (11)
Uncorrected energy ... -117.8 eV per cell
Energy of formation ... -0.4571 eV per atom
Calculated volume ... 265.8 Å³/f.u.
E above lowest polymorph ... 0 meV/atom

Structure (CIF):
```
data_Y6In3Rh
_symmetry_space_group_name_H-M 'P 1'
_symmetry_Int_Tables_number 1
_cell_length_a 5.302
_cell_length_b 9.232
_cell_length_c 11.411
_cell_angle_alpha 107.86
_cell_angle_beta 90.00
_cell_angle_gamma 90.00
loop_
_symmetry_equiv_pos_as_xyz
'x,y,z'
loop_
_atom_site_label
_atom_site_fract_x
_atom_site_fract_y
_atom_site_fract_z
Y1 0.750 0.778 0.502
Y2 0.750 0.898 0.145
Y3 0.250 0.102 0.855
Y4 0.250 0.458 0.084
Y5 0.250 0.130 0.159
Y6 0.750 0.870 0.841
Y7 0.250 0.222 0.498
Y8 0.750 0.542 0.916
Y9 0.750 0.151 0.674
Y10 0.250 0.849 0.326
Y11 0.250 0.685 0.666
Y12 0.750 0.315 0.334
In1 0.250 0.513 0.379
In2 0.750 0.487 0.621
In3 0.750 0.598 0.217
In4 0.250 0.402 0.783
In5 0.750 0.222 0.024
In6 0.250 0.778 0.976
Rh1 0.750 0.042 0.407
Rh2 0.250 0.958 0.593
```

> The highest calculated volume belongs to which entry?

Y12InRh6

> Among the records above, which one has the lowest energy of formation?

Y4InRh2

> The highest energy of formation belongs to which entry?

Y6In3Rh